Write out the lines further below from the one with "-0.57" to the one with "-9.8950" without additions.

~~~
This record from the Open Molecules 2025 dataset describes a cluster of 2 separate species, CH2Cl2O3 in total. The level of theory is the ωB97M-V functional and the def2-TZVPD basis.

Element x y z (Å)
O -1.01058 -1.15421 -1.63103
C 0.09085 -1.08435 -1.15499
Cl 1.61091 -0.66615 -2.05140
O 0.53129 -1.21457 0.05618
Cl -0.65076 -1.56977 1.25261
O -0.23706 1.73607 0.89888
H -0.98019 2.05648 1.36489
H 0.64555 1.89650 1.26485

Properties
SMILES: O=C(Cl)OCl.O
E_LUMO, eV: -1.03
HOMO, eV: -11.4754
ΔE to the lowest compared entry with this formula, charge and spin, eV: 0.611
Gap between HOMO and LUMO, eV: 10.44



This record from the Open Molecules 2025 dataset describes a cluster of 2 separate species, CH2Cl3NS in total. The level of theory is the ωB97M-V functional and the def2-TZVPD basis.

Element x y z (Å)
C -2.62162 0.87884 0.02705
N 2.30870 -1.16653 0.21462
S 1.59149 -0.10293 -0.78403
Cl -2.79170 1.35415 1.61706
Cl -3.05138 2.04537 -1.12930
Cl -1.25103 -0.12323 -0.35792
H 2.58619 -2.09371 -0.19434
H 3.22935 -0.79197 0.60685

Properties
E_LUMO (spin up / spin down), eV: -0.97 / -0.57
HOMO (spin up / spin down), eV: -8.3399 / -8.5976
ΔE to the lowest compared entry with this formula, charge and spin, eV: 2.300
Gap between HOMO and LUMO (spin up / spin down), eV: 7.37 / 8.03



This record from the Open Molecules 2025 dataset describes an isolated molecule of CH2Cl3P. The level of theory is the ωB97M-V functional and the def2-TZVPD basis.

Element x y z (Å)
P -1.12224 0.84110 0.03859
C 0.61138 -0.07555 0.15140
Cl 1.40694 0.60016 -1.32502
Cl 1.46490 0.45622 1.58744
Cl 0.55079 -1.82791 0.13376
H -1.61902 -0.28948 0.59731
H -1.29275 0.29546 -1.18348

Properties
SMILES: PC(Cl)(Cl)Cl
E_LUMO, eV: 0.42
HOMO, eV: -10.4816
ΔE to the lowest compared entry with this formula, charge and spin, eV: 1.150
Gap between HOMO and LUMO, eV: 10.90



This record from the Open Molecules 2025 dataset describes a cluster of 2 separate species, CH2ClFO3 in total. The level of theory is the ωB97M-V functional and the def2-TZVPD basis.

Element x y z (Å)
C -0.39259 0.28801 -1.66414
O -0.29299 -0.77737 1.53129
O 1.42277 0.46561 0.61691
O 0.29585 0.56250 1.33497
F -0.59002 -1.01379 -1.81581
Cl -1.33169 1.12973 -0.59440
H 0.67235 0.45924 -1.81126
H 0.21633 -1.11394 2.40244

Properties
E_LUMO (spin up / spin down), eV: 0.42 / -1.78
HOMO (spin up / spin down), eV: -8.0460 / -11.6426
Gap between HOMO and LUMO (spin up / spin down), eV: 8.47 / 9.86
Multiplicity: 3
<S²>: 2.01



This record from the Open Molecules 2025 dataset describes an isolated molecule of CH2ClFS. The level of theory is the ωB97M-V functional and the def2-TZVPD basis.

Element x y z (Å)
F 0.49180 1.29069 -0.38661
C 0.14301 0.02744 -0.54097
S 0.36152 -0.72279 1.38800
Cl -1.43916 -0.10278 -1.46358
H 1.04767 -0.36055 -1.16132
H -0.60485 -0.13200 2.16449

Properties
SMILES: F[C@@H](S)Cl
E_LUMO, eV: 0.03
HOMO, eV: -9.8950
ΔE to the lowest compared entry with this formula, charge and spin, eV: 0.825
Gap between HOMO and LUMO, eV: 9.92



This record from the Open Molecules 2025 dataset describes a cluster of 2 separate species, CH2ClIO in total. The level of theory is the ωB97M-V functional and the def2-TZVPD basis.

Element x y z (Å)
C 0.32493 0.29799 0.25326
O -0.93973 -0.90614 -0.72844
Cl -0.03331 1.80845 -0.46281
I 2.36890 -0.40273 -0.14064
H 0.01916 0.08344 1.24612
H -1.73995 -0.88101 -0.16750

Properties
E_LUMO, eV: -0.62
HOMO, eV: -10.1368
ΔE to the lowest compared entry with this formula, charge and spin, eV: 2.432
Gap between HOMO and LUMO, eV: 9.52



This record from the Open Molecules 2025 dataset describes a cluster of 2 separate species, CH2ClN2O2 in total. The level of theory is the ωB97M-V functional and the def2-TZVPD basis.

Element x y z (Å)
C -1.37637 0.13244 0.13620
N 0.67405 -0.45888 0.75759
N 1.47339 0.04491 -0.08498
O 1.21735 0.78410 -1.09865
O 2.65942 -0.22045 0.21217
Cl -1.93015 -1.44598 0.00367
H -1.09178 0.42549 -0.86557
H -1.62591 0.73837 0.93957

Properties
~~~

E_LUMO (spin up / spin down), eV: -0.97 / -0.57
HOMO (spin up / spin down), eV: -8.3399 / -8.5976
ΔE to the lowest compared entry with this formula, charge and spin, eV: 2.300
Gap between HOMO and LUMO (spin up / spin down), eV: 7.37 / 8.03



This record from the Open Molecules 2025 dataset describes an isolated molecule of CH2Cl3P. The level of theory is the ωB97M-V functional and the def2-TZVPD basis.

Element x y z (Å)
P -1.12224 0.84110 0.03859
C 0.61138 -0.07555 0.15140
Cl 1.40694 0.60016 -1.32502
Cl 1.46490 0.45622 1.58744
Cl 0.55079 -1.82791 0.13376
H -1.61902 -0.28948 0.59731
H -1.29275 0.29546 -1.18348

Properties
SMILES: PC(Cl)(Cl)Cl
E_LUMO, eV: 0.42
HOMO, eV: -10.4816
ΔE to the lowest compared entry with this formula, charge and spin, eV: 1.150
Gap between HOMO and LUMO, eV: 10.90



This record from the Open Molecules 2025 dataset describes a cluster of 2 separate species, CH2ClFO3 in total. The level of theory is the ωB97M-V functional and the def2-TZVPD basis.

Element x y z (Å)
C -0.39259 0.28801 -1.66414
O -0.29299 -0.77737 1.53129
O 1.42277 0.46561 0.61691
O 0.29585 0.56250 1.33497
F -0.59002 -1.01379 -1.81581
Cl -1.33169 1.12973 -0.59440
H 0.67235 0.45924 -1.81126
H 0.21633 -1.11394 2.40244

Properties
E_LUMO (spin up / spin down), eV: 0.42 / -1.78
HOMO (spin up / spin down), eV: -8.0460 / -11.6426
Gap between HOMO and LUMO (spin up / spin down), eV: 8.47 / 9.86
Multiplicity: 3
<S²>: 2.01



This record from the Open Molecules 2025 dataset describes an isolated molecule of CH2ClFS. The level of theory is the ωB97M-V functional and the def2-TZVPD basis.

Element x y z (Å)
F 0.49180 1.29069 -0.38661
C 0.14301 0.02744 -0.54097
S 0.36152 -0.72279 1.38800
Cl -1.43916 -0.10278 -1.46358
H 1.04767 -0.36055 -1.16132
H -0.60485 -0.13200 2.16449

Properties
SMILES: F[C@@H](S)Cl
E_LUMO, eV: 0.03
HOMO, eV: -9.8950